It remains to repeat only the last part of the block below, starting with the line that has "28.64".
........
Entry 1:
Computed X-ray powder pattern of MgSi2 for Cu Kα (weighted mean of Kα1 and Kα2), from a structure optimized by DFT (PBE).
Lines closer than 0.1° are merged.

Main lines, most intense first (10° ≤ 2θ ≤ 80°):
2θ (°)	d/Å	Rel. int.
37.22	2.415	100
38.14	2.360	43
27.99	3.188	27
48.39	1.881	25
28.64	3.117	25
48.86	1.864	24
21.45	4.143	21
41.63	2.169	19
43.62	2.075	17
28.76	3.104	15
30.28	2.951	14
43.17	2.095	14

Structure:
a = 3.7313 Å, b = 5.2620 Å, c = 12.6248 Å
α = 79.96°, β = 83.96°, γ = 70.03°
Element x y z (fractional)
Mg 0.0741 0.2321 0.1026
Mg 0.3500 0.0182 0.6836
Mg 0.6500 0.9818 0.3164
Mg 0.9259 0.7679 0.8974
Si 0.0118 0.7701 0.5397
Si 0.2107 0.2061 0.8887
Si 0.3646 0.5718 0.2047
Si 0.3775 0.5191 0.3953
Si 0.6225 0.4809 0.6047
Si 0.6354 0.4282 0.7953
Si 0.7893 0.7939 0.1113
Si 0.9882 0.2299 0.4603

Entry 2:
Computed X-ray powder pattern of ZnCr2Se2S2 for Cu Kα (weighted mean of Kα1 and Kα2), from a structure optimized by DFT (PBE).
Lines closer than 0.1° are merged.

Main lines, most intense first (10° ≤ 2θ ≤ 80°):
2θ (°)	d/Å	Rel. int.
49.93	1.827	100
28.65	3.115	76
34.73	2.583	63
45.62	1.989	48
24.37	3.653	29
14.85	5.966	25
29.96	2.983	25
69.93	1.345	15
73.29	1.292	14
42.88	2.109	13
37.96	2.370	12
62.25	1.491	12

Structure:
a = 7.3063 Å, b = 7.3063 Å, c = 7.3063 Å
α = 60.00°, β = 60.00°, γ = 60.00°
Element x y z (fractional)
Zn 0.0000 0.0000 0.0000
Zn 0.2500 0.2500 0.2500
Cr 0.1121 0.6293 0.6293
Cr 0.6293 0.1121 0.6293
Cr 0.6293 0.6293 0.1121
Cr 0.6293 0.6293 0.6293
Se 0.3854 0.3854 0.3854
Se 0.3854 0.3854 0.8439
Se 0.3854 0.8439 0.3854
Se 0.8439 0.3854 0.3854
S 0.4081 0.8640 0.8640
S 0.8640 0.4081 0.8640
S 0.8640 0.8640 0.4081
S 0.8640 0.8640 0.8640

Entry 3:
Computed X-ray powder pattern of Cs3PdF5 for Cu Kα (weighted mean of Kα1 and Kα2), from a structure optimized by DFT (PBE).
Lines closer than 0.1° are merged.

Main lines, most intense first (10° ≤ 2θ ≤ 80°):
2θ (°)	d/Å	Rel. int.
25.75	3.460	100
28.08	3.178	45
26.21	3.400	34
36.37	2.470	30
31.48	2.842	27
41.41	2.181	25
45.97	1.974	21
58.04	1.589	13
48.58	1.874	12
54.23	1.691	12
24.77	3.595	12
35.31	2.542	11

Structure:
a = 8.0383 Å, b = 8.0383 Å, c = 6.8001 Å
α = 90.00°, β = 90.00°, γ = 90.00°
Element x y z (fractional)
Cs 0.0000 0.0000 0.0000
Cs 0.1777 0.3223 0.5000
Cs 0.3223 0.8223 0.5000
Cs 0.5000 0.5000 0.0000
Cs 0.6777 0.1777 0.5000
Cs 0.8223 0.6777 0.5000
Pd 0.0000 0.5000 0.0000
Pd 0.5000 0.0000 0.0000
F 0.0000 0.0000 0.5000
F 0.1263 0.6263 0.2047
F 0.1263 0.6263 0.7953
F 0.3737 0.1263 0.2047
F 0.3737 0.1263 0.7953
F 0.5000 0.5000 0.5000
F 0.6263 0.8737 0.2047
F 0.6263 0.8737 0.7953
F 0.8737 0.3737 0.2047
F 0.8737 0.3737 0.7953

Entry 4:
Computed X-ray powder pattern of KRb2ScI6 for Cu Kα (weighted mean of Kα1 and Kα2), from a structure optimized by DFT (PBE).
Lines closer than 0.1° are merged.

Main lines, most intense first (10° ≤ 2θ ≤ 80°):
2θ (°)	d/Å	Rel. int.
24.67	3.609	100
28.56	3.126	75
40.83	2.210	53
48.28	1.885	42
66.94	1.398	20
50.58	1.805	18
65.03	1.434	15
74.33	1.276	14
14.17	6.251	13
79.70	1.203	10
37.37	2.406	9
79.26	1.209	8

Structure:
a = 8.8410 Å, b = 8.8410 Å, c = 8.8410 Å
α = 60.00°, β = 60.00°, γ = 60.00°
Element x y z (fractional)
K 0.0000 0.0000 0.0000
Rb 0.2500 0.2500 0.2500
Rb 0.7500 0.7500 0.7500
Sc 0.5000 0.5000 0.5000
I 0.2688 0.2688 0.7312
I 0.2688 0.7312 0.2688
I 0.2688 0.7312 0.7312
I 0.7312 0.2688 0.2688
I 0.7312 0.2688 0.7312
I 0.7312 0.7312 0.2688

Entry 5:
Computed X-ray powder pattern of UAl8Cu4 for Cu Kα (weighted mean of Kα1 and Kα2), from a structure optimized by DFT (PBE).
Lines closer than 0.1° are merged.

Main lines, most intense first (10° ≤ 2θ ≤ 80°):
2θ (°)	d/Å	Rel. int.
35.15	2.553	100
19.35	4.586	92
41.00	2.201	91
39.29	2.293	62
20.43	4.346	38
32.57	2.749	38
33.19	2.700	34
28.29	3.155	32
41.56	2.173	30
64.63	1.442	30
56.37	1.632	27
47.19	1.926	27

Structure:
a = 6.7133 Å, b = 6.7133 Å, c = 6.7133 Å
α = 99.31°, β = 99.31°, γ = 132.58°
Element x y z (fractional)
U 0.0000 0.0000 0.0000
........
28.64	3.117	25
48.86	1.864	24
21.45	4.143	21
41.63	2.169	19
43.62	2.075	17
28.76	3.104	15
30.28	2.951	14
43.17	2.095	14

Structure:
a = 3.7313 Å, b = 5.2620 Å, c = 12.6248 Å
α = 79.96°, β = 83.96°, γ = 70.03°
Element x y z (fractional)
Mg 0.0741 0.2321 0.1026
Mg 0.3500 0.0182 0.6836
Mg 0.6500 0.9818 0.3164
Mg 0.9259 0.7679 0.8974
Si 0.0118 0.7701 0.5397
Si 0.2107 0.2061 0.8887
Si 0.3646 0.5718 0.2047
Si 0.3775 0.5191 0.3953
Si 0.6225 0.4809 0.6047
Si 0.6354 0.4282 0.7953
Si 0.7893 0.7939 0.1113
Si 0.9882 0.2299 0.4603

Entry 2:
Computed X-ray powder pattern of ZnCr2Se2S2 for Cu Kα (weighted mean of Kα1 and Kα2), from a structure optimized by DFT (PBE).
Lines closer than 0.1° are merged.

Main lines, most intense first (10° ≤ 2θ ≤ 80°):
2θ (°)	d/Å	Rel. int.
49.93	1.827	100
28.65	3.115	76
34.73	2.583	63
45.62	1.989	48
24.37	3.653	29
14.85	5.966	25
29.96	2.983	25
69.93	1.345	15
73.29	1.292	14
42.88	2.109	13
37.96	2.370	12
62.25	1.491	12

Structure:
a = 7.3063 Å, b = 7.3063 Å, c = 7.3063 Å
α = 60.00°, β = 60.00°, γ = 60.00°
Element x y z (fractional)
Zn 0.0000 0.0000 0.0000
Zn 0.2500 0.2500 0.2500
Cr 0.1121 0.6293 0.6293
Cr 0.6293 0.1121 0.6293
Cr 0.6293 0.6293 0.1121
Cr 0.6293 0.6293 0.6293
Se 0.3854 0.3854 0.3854
Se 0.3854 0.3854 0.8439
Se 0.3854 0.8439 0.3854
Se 0.8439 0.3854 0.3854
S 0.4081 0.8640 0.8640
S 0.8640 0.4081 0.8640
S 0.8640 0.8640 0.4081
S 0.8640 0.8640 0.8640

Entry 3:
Computed X-ray powder pattern of Cs3PdF5 for Cu Kα (weighted mean of Kα1 and Kα2), from a structure optimized by DFT (PBE).
Lines closer than 0.1° are merged.

Main lines, most intense first (10° ≤ 2θ ≤ 80°):
2θ (°)	d/Å	Rel. int.
25.75	3.460	100
28.08	3.178	45
26.21	3.400	34
36.37	2.470	30
31.48	2.842	27
41.41	2.181	25
45.97	1.974	21
58.04	1.589	13
48.58	1.874	12
54.23	1.691	12
24.77	3.595	12
35.31	2.542	11

Structure:
a = 8.0383 Å, b = 8.0383 Å, c = 6.8001 Å
α = 90.00°, β = 90.00°, γ = 90.00°
Element x y z (fractional)
Cs 0.0000 0.0000 0.0000
Cs 0.1777 0.3223 0.5000
Cs 0.3223 0.8223 0.5000
Cs 0.5000 0.5000 0.0000
Cs 0.6777 0.1777 0.5000
Cs 0.8223 0.6777 0.5000
Pd 0.0000 0.5000 0.0000
Pd 0.5000 0.0000 0.0000
F 0.0000 0.0000 0.5000
F 0.1263 0.6263 0.2047
F 0.1263 0.6263 0.7953
F 0.3737 0.1263 0.2047
F 0.3737 0.1263 0.7953
F 0.5000 0.5000 0.5000
F 0.6263 0.8737 0.2047
F 0.6263 0.8737 0.7953
F 0.8737 0.3737 0.2047
F 0.8737 0.3737 0.7953

Entry 4:
Computed X-ray powder pattern of KRb2ScI6 for Cu Kα (weighted mean of Kα1 and Kα2), from a structure optimized by DFT (PBE).
Lines closer than 0.1° are merged.

Main lines, most intense first (10° ≤ 2θ ≤ 80°):
2θ (°)	d/Å	Rel. int.
24.67	3.609	100
28.56	3.126	75
40.83	2.210	53
48.28	1.885	42
66.94	1.398	20
50.58	1.805	18
65.03	1.434	15
74.33	1.276	14
14.17	6.251	13
79.70	1.203	10
37.37	2.406	9
79.26	1.209	8

Structure:
a = 8.8410 Å, b = 8.8410 Å, c = 8.8410 Å
α = 60.00°, β = 60.00°, γ = 60.00°
Element x y z (fractional)
K 0.0000 0.0000 0.0000
Rb 0.2500 0.2500 0.2500
Rb 0.7500 0.7500 0.7500
Sc 0.5000 0.5000 0.5000
I 0.2688 0.2688 0.7312
I 0.2688 0.7312 0.2688
I 0.2688 0.7312 0.7312
I 0.7312 0.2688 0.2688
I 0.7312 0.2688 0.7312
I 0.7312 0.7312 0.2688

Entry 5:
Computed X-ray powder pattern of UAl8Cu4 for Cu Kα (weighted mean of Kα1 and Kα2), from a structure optimized by DFT (PBE).
Lines closer than 0.1° are merged.

Main lines, most intense first (10° ≤ 2θ ≤ 80°):
2θ (°)	d/Å	Rel. int.
35.15	2.553	100
19.35	4.586	92
41.00	2.201	91
39.29	2.293	62
20.43	4.346	38
32.57	2.749	38
33.19	2.700	34
28.29	3.155	32
41.56	2.173	30
64.63	1.442	30
56.37	1.632	27
47.19	1.926	27

Structure:
a = 6.7133 Å, b = 6.7133 Å, c = 6.7133 Å
α = 99.31°, β = 99.31°, γ = 132.58°
Element x y z (fractional)
U 0.0000 0.0000 0.0000